Wanted
Now print all of the data underneath with every line break kept.
Entries
********
(1)
The following is a quantum chemistry calculation of C47H59N2NiOP2Te as an isolated structure at a distorted geometry, from the OMol25 dataset.

Geometry as XYZ:
```
113
Properties=species:S:1:pos:R:3:lowdin_charge:R:1
Ni -1.15133 0.20175 0.83372 0.218
C -3.45502 -2.61223 0.42370 -0.111
C -2.83658 -2.58398 1.82408 -0.514
C -2.89557 -3.97243 2.45571 -0.107
P -1.14408 -1.86761 1.72369 1.106
C -0.30602 -2.34777 3.28021 -0.519
C -1.01467 -1.68214 4.46484 -0.092
C 1.17517 -1.98889 3.26043 -0.112
C -0.26673 -2.70976 0.39630 -0.284
C 0.37581 -3.93891 0.49178 -0.091
C 1.16504 -4.40498 -0.54722 -0.090
C 1.33320 -3.59819 -1.66848 -0.074
C 0.69143 -2.37629 -1.77868 -0.046
C -0.16516 -1.92706 -0.76506 -0.293
N -0.87421 -0.71750 -0.80311 -0.061
C -1.51106 -0.31089 -1.96521 -0.289
C -1.68713 -1.11327 -3.11333 -0.031
C -2.36993 -0.63888 -4.21611 -0.086
C -2.92560 0.63732 -4.24140 -0.100
C -2.80134 1.41784 -3.10761 -0.098
C -2.11074 0.96399 -1.98536 -0.293
P -2.02692 1.84928 -0.42257 1.114
C -3.77919 2.26234 -0.04841 -0.508
C -3.94543 3.10606 1.21733 -0.102
C -4.57887 0.96512 0.07129 -0.107
C -1.11899 3.42333 -0.70863 -0.487
C -0.68306 4.08972 0.59841 -0.093
C -1.84823 4.42651 -1.60028 -0.095
H -4.52824 -2.80077 0.49665 0.085
H -3.30546 -1.67994 -0.12057 0.042
H -3.00852 -3.41261 -0.17092 0.085
H -3.39993 -1.87664 2.44184 0.108
H -2.27420 -4.67922 1.89879 0.078
H -2.57684 -3.98084 3.49810 0.063
H -3.92126 -4.34734 2.42240 0.082
H -0.41715 -3.43277 3.37087 0.096
H -0.95900 -0.59567 4.39289 0.063
H -2.07148 -1.95008 4.52787 0.069
H -0.53811 -1.98526 5.39962 0.085
H 1.29925 -0.91882 3.09687 -0.001
H 1.62311 -2.24109 4.22499 0.085
H 1.72604 -2.51101 2.47813 0.071
H 0.28516 -4.52400 1.40087 0.104
H 1.66606 -5.36086 -0.47219 0.099
H 1.99116 -3.92069 -2.46680 0.105
H 0.86128 -1.75335 -2.64690 0.110
H -1.31888 -2.12718 -3.12810 0.099
H -2.48749 -1.29205 -5.07320 0.104
H -3.46391 0.99680 -5.10803 0.097
H -3.28037 2.38991 -3.08047 0.093
H -4.14207 2.83246 -0.90970 0.101
H -3.39344 2.66756 2.05004 0.052
H -3.60862 4.13360 1.07480 0.061
H -5.00348 3.14114 1.48901 0.081
H -4.21832 0.37622 0.91955 0.068
H -5.63095 1.19762 0.25053 0.082
H -4.51057 0.35135 -0.82781 0.071
H -0.22004 3.08035 -1.22757 0.079
H -1.53579 4.49189 1.14922 0.065
H -0.14235 3.40204 1.24493 0.047
H -0.01965 4.92517 0.36651 0.080
H -2.80094 4.73756 -1.16361 0.072
H -1.23219 5.32375 -1.70248 0.082
H -2.03499 4.04271 -2.60301 0.061
C 8.91536 3.70236 2.03405 -0.054
C 7.52268 3.13416 1.98162 -0.271
C 6.57637 3.45596 2.94260 -0.023
C 5.28432 2.93668 2.90267 -0.328
C 4.32053 3.32666 3.99636 -0.098
C 4.92069 2.07063 1.86414 -0.400
Te 2.91275 1.26236 1.85948 1.545
N 0.47531 1.17834 2.00483 -0.051
C -0.45447 1.49337 2.83745 -0.629
O -1.66304 1.10444 2.51359 -0.165
C -0.26619 2.28560 4.08417 -0.157
C -1.19017 3.27306 4.41123 -0.020
C -1.02270 4.02955 5.56121 -0.076
C 0.05526 3.78832 6.40333 -0.087
C 0.96741 2.78997 6.09005 -0.079
C 0.81047 2.04435 4.93060 -0.052
C 2.48914 2.05703 -0.04443 -0.449
C 2.07599 1.15659 -1.02487 -0.150
C 1.82239 1.58263 -2.32114 -0.091
C 1.99074 2.92318 -2.63915 -0.092
C 2.37833 3.82163 -1.65537 -0.059
C 2.62085 3.41506 -0.34192 -0.307
C 2.99506 4.43329 0.69885 -0.060
C 5.87128 1.71439 0.89284 -0.293
C 5.58776 0.77482 -0.24935 -0.070
C 7.15098 2.25933 0.97020 -0.022
H 9.03954 4.36474 2.89067 0.071
H 9.14106 4.27365 1.13136 0.080
H 9.66178 2.90929 2.11179 0.080
H 6.84775 4.13269 3.74725 0.111
H 4.74668 4.11233 4.62152 0.076
H 4.08709 2.47798 4.64586 0.072
H 3.37051 3.68349 3.59322 0.042
H -2.03503 3.44365 3.75562 0.103
H -1.73749 4.80580 5.80431 0.103
H 0.18075 4.37656 7.30374 0.101
H 1.80605 2.59442 6.74690 0.104
H 1.52485 1.27132 4.67813 0.082
H 1.95512 0.10886 -0.77156 0.080
H 1.49900 0.87099 -3.07149 0.101
H 1.81056 3.27170 -3.64925 0.104
H 2.48901 4.87247 -1.90321 0.111
H 2.81932 5.44365 0.32786 0.080
H 4.04809 4.34784 0.97971 0.077
H 2.40538 4.29263 1.60838 0.061
H 4.88306 -0.00921 0.02690 0.047
H 6.51187 0.29973 -0.58105 0.076
H 5.15867 1.30725 -1.10126 0.083
********
Completed
(1)
The following is a quantum chemistry calculation of C47H59N2NiOP2Te as an isolated structure at a distorted geometry, from the OMol25 dataset.

Geometry as XYZ:
```
113
Properties=species:S:1:pos:R:3:lowdin_charge:R:1
Ni -1.15133 0.20175 0.83372 0.218
C -3.45502 -2.61223 0.42370 -0.111
C -2.83658 -2.58398 1.82408 -0.514
C -2.89557 -3.97243 2.45571 -0.107
P -1.14408 -1.86761 1.72369 1.106
C -0.30602 -2.34777 3.28021 -0.519
C -1.01467 -1.68214 4.46484 -0.092
C 1.17517 -1.98889 3.26043 -0.112
C -0.26673 -2.70976 0.39630 -0.284
C 0.37581 -3.93891 0.49178 -0.091
C 1.16504 -4.40498 -0.54722 -0.090
C 1.33320 -3.59819 -1.66848 -0.074
C 0.69143 -2.37629 -1.77868 -0.046
C -0.16516 -1.92706 -0.76506 -0.293
N -0.87421 -0.71750 -0.80311 -0.061
C -1.51106 -0.31089 -1.96521 -0.289
C -1.68713 -1.11327 -3.11333 -0.031
C -2.36993 -0.63888 -4.21611 -0.086
C -2.92560 0.63732 -4.24140 -0.100
C -2.80134 1.41784 -3.10761 -0.098
C -2.11074 0.96399 -1.98536 -0.293
P -2.02692 1.84928 -0.42257 1.114
C -3.77919 2.26234 -0.04841 -0.508
C -3.94543 3.10606 1.21733 -0.102
C -4.57887 0.96512 0.07129 -0.107
C -1.11899 3.42333 -0.70863 -0.487
C -0.68306 4.08972 0.59841 -0.093
C -1.84823 4.42651 -1.60028 -0.095
H -4.52824 -2.80077 0.49665 0.085
H -3.30546 -1.67994 -0.12057 0.042
H -3.00852 -3.41261 -0.17092 0.085
H -3.39993 -1.87664 2.44184 0.108
H -2.27420 -4.67922 1.89879 0.078
H -2.57684 -3.98084 3.49810 0.063
H -3.92126 -4.34734 2.42240 0.082
H -0.41715 -3.43277 3.37087 0.096
H -0.95900 -0.59567 4.39289 0.063
H -2.07148 -1.95008 4.52787 0.069
H -0.53811 -1.98526 5.39962 0.085
H 1.29925 -0.91882 3.09687 -0.001
H 1.62311 -2.24109 4.22499 0.085
H 1.72604 -2.51101 2.47813 0.071
H 0.28516 -4.52400 1.40087 0.104
H 1.66606 -5.36086 -0.47219 0.099
H 1.99116 -3.92069 -2.46680 0.105
H 0.86128 -1.75335 -2.64690 0.110
H -1.31888 -2.12718 -3.12810 0.099
H -2.48749 -1.29205 -5.07320 0.104
H -3.46391 0.99680 -5.10803 0.097
H -3.28037 2.38991 -3.08047 0.093
H -4.14207 2.83246 -0.90970 0.101
H -3.39344 2.66756 2.05004 0.052
H -3.60862 4.13360 1.07480 0.061
H -5.00348 3.14114 1.48901 0.081
H -4.21832 0.37622 0.91955 0.068
H -5.63095 1.19762 0.25053 0.082
H -4.51057 0.35135 -0.82781 0.071
H -0.22004 3.08035 -1.22757 0.079
H -1.53579 4.49189 1.14922 0.065
H -0.14235 3.40204 1.24493 0.047
H -0.01965 4.92517 0.36651 0.080
H -2.80094 4.73756 -1.16361 0.072
H -1.23219 5.32375 -1.70248 0.082
H -2.03499 4.04271 -2.60301 0.061
C 8.91536 3.70236 2.03405 -0.054
C 7.52268 3.13416 1.98162 -0.271
C 6.57637 3.45596 2.94260 -0.023
C 5.28432 2.93668 2.90267 -0.328
C 4.32053 3.32666 3.99636 -0.098
C 4.92069 2.07063 1.86414 -0.400
Te 2.91275 1.26236 1.85948 1.545
N 0.47531 1.17834 2.00483 -0.051
C -0.45447 1.49337 2.83745 -0.629
O -1.66304 1.10444 2.51359 -0.165
C -0.26619 2.28560 4.08417 -0.157
C -1.19017 3.27306 4.41123 -0.020
C -1.02270 4.02955 5.56121 -0.076
C 0.05526 3.78832 6.40333 -0.087
C 0.96741 2.78997 6.09005 -0.079
C 0.81047 2.04435 4.93060 -0.052
C 2.48914 2.05703 -0.04443 -0.449
C 2.07599 1.15659 -1.02487 -0.150
C 1.82239 1.58263 -2.32114 -0.091
C 1.99074 2.92318 -2.63915 -0.092
C 2.37833 3.82163 -1.65537 -0.059
C 2.62085 3.41506 -0.34192 -0.307
C 2.99506 4.43329 0.69885 -0.060
C 5.87128 1.71439 0.89284 -0.293
C 5.58776 0.77482 -0.24935 -0.070
C 7.15098 2.25933 0.97020 -0.022
H 9.03954 4.36474 2.89067 0.071
H 9.14106 4.27365 1.13136 0.080
H 9.66178 2.90929 2.11179 0.080
H 6.84775 4.13269 3.74725 0.111
H 4.74668 4.11233 4.62152 0.076
H 4.08709 2.47798 4.64586 0.072
H 3.37051 3.68349 3.59322 0.042
H -2.03503 3.44365 3.75562 0.103
H -1.73749 4.80580 5.80431 0.103
H 0.18075 4.37656 7.30374 0.101
H 1.80605 2.59442 6.74690 0.104
H 1.52485 1.27132 4.67813 0.082
H 1.95512 0.10886 -0.77156 0.080
H 1.49900 0.87099 -3.07149 0.101
H 1.81056 3.27170 -3.64925 0.104
H 2.48901 4.87247 -1.90321 0.111
H 2.81932 5.44365 0.32786 0.080
H 4.04809 4.34784 0.97971 0.077
H 2.40538 4.29263 1.60838 0.061
H 4.88306 -0.00921 0.02690 0.047
H 6.51187 0.29973 -0.58105 0.076
H 5.15867 1.30725 -1.10126 0.083